Is your emotional life pretty much like a roller coaster? You may be in extreme joy one moment but in the next, your emotion comes crashing down like a tide. You feel in lack of control and that your emotional respond is dictated by the experiences that life throws at you. If you totally immerse yourself in inner feelings of hurt and frustration and identify with any emotion associated with anger, then you are probably stuck in the “anger-treadmill”.
The nature of anger
(Attached: crystal structures)
- - -
Entry from OQMD via LeMat-Bulk: crystalline LuMgAsO at its relaxed geometry (PBE).

a b c (Å): 4.3477 4.3477 9.5162
angles (deg): 90.00 90.00 90.00
Space group P4/nmm (No. 129, origin choice 2)
Inequivalent atoms, fractional coordinates:
Lu: 0.2500 0.7500 0.0000 x2
Mg: 0.2500 0.2500 0.4961 x2
As: 0.2500 0.2500 0.1732 x2
O: 0.2500 0.7500 0.5000 x2

Properties
size of the total moment	0.04	μB per formula unit
energy	-5.134	eV per atom

=====

# 1
A plane-wave DFT calculation with PBE-GGA was carried out for a geometry-optimized ZnCr2Os structure.

Properties
- DFT formation energy (eV per formula unit) = 0.838

Lattice parameters (Å, degrees): 3.016 4.090 8.359 90.00 90.00 90.00
Space group Immm (No. 71)
Inequivalent atoms, fractional coordinates:
Zn (0.000, 0.000, 0.000)
Cr (0.000, 0.500, 0.243)
Os (0.000, 0.000, 0.500)


# 2
A plane-wave DFT calculation with PBE-GGA was carried out for a geometry-optimized ZnCr2Os structure.

Properties
- DFT formation energy (eV per formula unit) = 0.853

Lattice parameters (Å, degrees): 2.634 4.043 4.970 90.00 102.13 90.00
Space group Pm (No. 6)
Inequivalent atoms, fractional coordinates:
Zn (0.000, 0.000, 0.000)
Cr (0.562, 0.000, 0.483)
Cr (0.670, 0.500, 0.224)
Os (0.238, 0.500, 0.711)


# 3
A plane-wave DFT calculation with PBE-GGA was carried out for a geometry-optimized ZnCr2Os structure.

Properties
- DFT formation energy (eV per formula unit) = 0.691

Lattice parameters (Å, degrees): 5.969 5.969 5.969 90.00 90.00 90.00
Space group F-43m (No. 216)
Inequivalent atoms, fractional coordinates:
Zn (0.000, 0.000, 0.000)
Cr (0.000, 0.000, 0.500)
Cr (0.250, 0.250, 0.750)
Os (0.250, 0.250, 0.250)


# 4
A plane-wave DFT calculation with PBE-GGA was carried out for a geometry-optimized ZnCr2Os structure.

Properties
- DFT formation energy (eV per formula unit) = 0.856

Lattice parameters (Å, degrees): 2.6500 2.6500 26.0386 90.00 90.00 120.00
Space group R-3m (No. 166, hexagonal axes)
Inequivalent atoms, fractional coordinates:
Zn (0.0000, 0.0000, 0.0000)
Cr (0.0000, 0.0000, 0.2485)
Os (0.0000, 0.0000, 0.5000)


# 5
A plane-wave DFT calculation with PBE-GGA was carried out for a geometry-optimized ZnCr2Os structure.

Properties
- DFT formation energy (eV per formula unit) = 0.588

Lattice parameters (Å, degrees): 2.930 4.261 8.351 90.00 90.00 90.00
Space group Imm2 (No. 44)
Inequivalent atoms, fractional coordinates:
Zn (0.000, 0.000, 0.000)
Cr (0.000, 0.000, 0.483)
Cr (0.000, 0.500, 0.760)
Os (0.000, 0.500, 0.231)


# 6
A plane-wave DFT calculation with PBE-GGA was carried out for a geometry-optimized Zn2CrOs structure.

Properties
- polymorph energy (0 for the lowest one) (eV/atom) = 0.210
- DFT formation energy (eV per formula unit) = 1.047

Lattice parameters (Å, degrees): 3.681 3.681 4.089 90.00 90.00 90.00
Space group P4/mmm (No. 123)
Inequivalent atoms, fractional coordinates:
Zn (0.000, 0.500, 0.000)
Cr (0.000, 0.000, 0.500)
Os (0.500, 0.500, 0.500)


# 7
- - -
Anger doesn’t feel very good. It’s actually pretty uncomfortable. Our stomach tightens-up, we become sweaty, we react – instead of act – in survival mode. And anger clouds our judgment causing us to respond wildly out of emotion. We’ve all been there. Sometimes, it can get so intense that we tremble passionately while feeling strong resentment towards other people. And when we cool down, we would wonder how we allowed ourselves to get in such a messed up state in the first place.
This requires a little explanation: Emotion is our body’s response to a thought, which could be triggered by an external situation. But this situation is seen through the lens of our own interpretation. Our lens is colored by the mental concepts unique to each of us; concepts like good and bad, yours, and mine, like and dislike, right and wrong. Keep in mind we all have different lenses, thus interpretation conflicts are inevitable. For example, we feel very little emotion when someone else loses their wallet. But when it is our own money, we suddenly feel pain and the desire to hoard it back to us. The moment we’ve labeled something as “mine”, we will experience mental distress when we’ve interpreted that we have ‘lost’ it or are at the risk of losing it. Whether it is my wallet, my pride, my money, my house, my car, my job, my child, my stocks, my feelings or my dog, as long as we feel that it is lost or threatened, we will experience pain in the form of anger or other strong negative emotions.
We experience pain, because we have been trained since children to believe that the things, which we have labeled as ‘mine’, are something that defines who we are. We’ve identified with it and falsely believed that if we lost it, or face losing it, we lose ourselves. Suddenly, our ego has nothing to identify itself by. Who are we? This hurts our ego tremendously.In our minds, we feel entitled to more, whether it is more money, or more respect, or a better job, or a larger house. Amongst it all, we fail to see that our mind will always want more. Greed is a highly addictive state of mind, always growing, blinding us of reality, while convincing us that we’re doing a reasonable thing. “It’s amazing how much emotion a little mental concept like ‘my’ can generate.“- Eckhart Tolle
Common ingredients of anger:
Unfairness - We believe that we have been treated unfairly. We tell ourselves that we deserve more, and we buy into this story that someone has wronged us.
Lost - We feel that we have lost something that we have identified ourselves with. E.g. Feelings, pride, money, car, job.
Blame - We blame other people or external situations for having caused our loss, for taking advantage of us unfairly. The blame often only resides in our heads and is a product of our imagination. We fail to see things from other people’s perspectives. We become deeply selfish.
Pain - We experience pain, mental distress, and anxiety. The pain causes physical responses in our body, which disturbs our natural energy flow and state of wellbeing.
Focus - We focus on the thing we don’t want, and energize it by complaining about it passionately, and repeating it to as many people who will listen. This creates a downward spiral of anger. “What we focus on expands”, this is true regardless of the emotion.
Anger as a state of mind
What is a state? A state refers to the sum of your emotional experiences at any given point in time. A state can be positive; reflecting a sense of happiness, joy and peace or it can be negative, reflecting sadness, tiredness, anger or frustration. Common states are: a state of panic, a state of boredom, a state of bliss, in a mess; and of course, a state of anger.When you are experiencing negative emotions, it is easy to incorrectly assume that this state as your whole Being. You (or more rightly, your ego) feel threatened; it now becomes a “fight for survival”. When you become so consumed with your rage and frustrations, it is possible to lose all sense and the ability to think clearly. You do not realize that You and your Ego are separate, and that to feel better, it is possible to change state.“The ego is not only the unobserved mind, the voice in the head which pretends to be you, but also the unobserved emotions that are the body’s reaction to what the voice in the head is saying.” by Eckhart TolleStates are often created by the way you perceive the world. The half-empty and half-full glass is a simple analogy of how you can perceive life differently. Going back to the anger example, you can choose not to bother with the honking of a car behind or choose to stop your car in rage, to confront its unreasonable driver.
Anger builds upon anger
Because negativity tends to breed more negativity, it is easy to go on a downward spiral when you get caught up in your emotions. At the office, you feel angry after a torrent of verbal abuse by your boss. Fearful of affecting your job security, you decide not to argue with him.Unfortunately, after going home from work, your spouse reminds you about the mounting household bills. A fight soon ensues. For some peace and quiet, you decide to escape in front of the television or computer but your anger remains unresolved. As your frustrations intensify, you feel that it is not just those around; but that the whole world is against you! Negative energy builds into an internal volcano that threatens to erupt!
Why do you need to address your anger?
Anger can cause you to make unwise decisions, say hurtful remarks, destroy relationships and take drastic actions that you may regret later. It is an emotion that blocks your way to abundance, peace and serenity.I am not suggesting that from now on, you should simply ignore your anger feelings and perceive things positively. Ignoring a problem is never the solution. Anger unresolved is often a sign of an overload. It happens when you unconsciously accumulate an internal storehouse with anger. You collect all negative energy with the common theme of unmet expectations.The key to understanding is that the anger is not really you. Rather, it refers to a state that can be altered. It is often ego-generated. With the dis-association of Self from the anger, it is then possible to become calmer. Only in calmness, can clarity arise. Only then, can you objectively evaluate these questions: Why are you feeling this anger? What is it that is making you this angry? Did it arise because your expectations are not met? Is it possible that your expectations are too high? Are there more ways of perceiving the same issue? Could you have really made a mistake about the intentions of the other party?
The effects of anger
Though anger is a natural feeling experienced by all human, the effects are always unpleasant. You may think that you are expressing anger in normal ways and it will not affect the people around you. But if you ask your spouse, friend, children or colleague about the effects of your anger, you will be surprised to learn how they feel about your anger. Any anger either expressed harshly or politely has its effects and it often leads to feelings of loneliness and isolation. Your spouse may be reluctant to involve you or confront you in practical or personal matters out of fear of your reaction. And your friends and colleagues might feel uncomfortable with expressing their opinions or different beliefs, sensing the rage and uneasiness it builds in you.
More importantly children are affected by anger. Mainly teenagers feel hurt when the parents or teachers express anger. As they are in between child hood and grown up age they will look for guidance and role models in how to deal with difficult or challenging situations in their daily life. By mainly showing them angry behavior they will learn to respond accordingly and the pattern of unhappiness is passed on to the next generation.
Anger may not only affect other people around you, anger also clouds our judgment and we become consumed with problems and pain. Instead of cutting ourselves loose, free from the self-inflicted pain; we make irrational, unreasonable, regretful and hurtful decisions.
Apart from the psychological effects there are some physical effects also. Emotional stress and anger trigger the release of stress hormone cortisol in the body. Small releases of cortisol can give the body a quick burst of energy. However, higher and more prolonged increases can cause the body to host a lot of negative effects.
It can create a blood sugar imbalance; it can decrease bone density, suppress the body's immune response and make it susceptible to chronic inflammation; it can suppress thyroid function, slowing down the body's metabolism; it can impair the brain's thinking ability and increase blood pressure.
Anger can raise your heart rate to 180 beats a minute. It can raise your blood pressure from 120 over 80 to 220 over 130, perhaps even higher. Your breathing becomes rapid as you try to get more oxygen into your body. Your body tenses and and your muscles become tight.
== Next to the piece, the page also holds data records ==
┌──
1.
{"formula": "ScCoIr2", "functional": "SCAN", "state": "single point on PBEsol structure", "n_ef_per_ev_fu": 3.821, "sg": "R-3m, No. 166", "total_energy_ev_per_cell": -174.20, "crystal_system": "trigonal", "lattice_angstrom": [[1.400, 0.808, 8.494], [-1.400, 0.808, 8.494], [0.000, -1.616, 8.494]], "species": ["Sc", "Co", "Ir", "Ir"], "frac_coords": [[0.000, 0.000, 0.000], [0.500, 0.500, 0.500], [0.246, 0.246, 0.246], [0.754, 0.754, 0.754]]}

2.
{"formula": "ScCoIr", "functional": "SCAN", "state": "single point on PBEsol structure", "n_ef_per_ev_fu": 2.651, "sg": "I4mm, No. 107", "crystal_system": "tetragonal", "e_above_lowest_polymorph_ev_per_atom": 0.142, "lattice_angstrom": [[-1.409, 1.409, 5.499], [1.409, -1.409, 5.499], [1.409, 1.409, -5.499]], "species": ["Sc", "Co", "Ir"], "frac_coords": [[0.000, 0.000, 0.000], [0.677, 0.677, 0.000], [0.317, 0.317, 0.000]]}

3.
{"formula": "Sc2CoIr", "functional": "SCAN", "state": "single point on PBEsol structure", "n_ef_per_ev_fu": 1.501, "sg": "Fm-3m, No. 225", "crystal_system": "cubic", "e_above_lowest_polymorph_ev_per_atom": 0.000, "lattice_angstrom": [[0.000, 3.140, 3.140], [3.140, 0.000, 3.140], [3.140, 3.140, 0.000]], "species": ["Sc", "Sc", "Co", "Ir"], "frac_coords": [[0.250, 0.250, 0.250], [0.750, 0.750, 0.750], [0.000, 0.000, 0.000], [0.500, 0.500, 0.500]]}

4.
{"formula": "Sc2CoIr2", "functional": "SCAN", "state": "single point on PBEsol structure", "n_ef_per_ev_fu": 4.046, "sg": "I4/mmm, No. 139", "total_energy_ev_per_cell": -187.83, "crystal_system": "tetragonal", "lattice_angstrom": [[-2.057, 2.057, 5.584], [2.057, -2.057, 5.584], [2.057, 2.057, -5.584]], "species": ["Sc", "Sc", "Co", "Ir", "Ir"], "frac_coords": [[0.250, 0.750, 0.500], [0.750, 0.250, 0.500], [0.000, 0.000, 0.000], [0.391, 0.391, 0.000], [0.609, 0.609, 0.000]]}

5.
{"formula": "ScCoIr2", "functional": "SCAN", "state": "single point on PBEsol structure", "n_ef_per_ev_fu": 2.420, "sg": "Cm, No. 8", "total_energy_ev_per_cell": -175.21, "crystal_system": "monoclinic", "lattice_angstrom": [[4.499, -1.388, 0.000], [4.499, 1.388, 0.000], [-0.886, 0.000, 4.538]], "species": ["Sc", "Co", "Ir", "Ir"], "frac_coords": [[0.000, 0.000, 0.000], [0.756, 0.756, 0.252], [0.242, 0.242, 0.702], [0.496, 0.496, 0.492]]}

6.
{"formula": "ScCoIr4", "functional": "SCAN", "state": "single point on PBEsol structure", "n_ef_per_ev_fu": 9.060, "sg": "F-43m, No. 216", "total_energy_ev_per_cell": -317.36, "crystal_system": "cubic", "lattice_angstrom": [[0.000, 3.612, 3.612], [3.612, 0.000, 3.612], [3.612, 3.612, 0.000]], "species": ["Sc", "Co", "Ir", "Ir", "Ir", "Ir"], "frac_coords": [[0.000, 0.000, 0.000], [0.250, 0.250, 0.250], [0.126, 0.625, 0.625], [0.625, 0.126, 0.625], [0.625, 0.625, 0.126], [0.625, 0.625, 0.625]]}

7.
└──
When you become stressed, your mind is in survival mode and your body releases chemicals to clot the blood, creating a potentially dangerous situation: a clot can travel through the blood vessels the brain or heart, resulting in a stroke or heart attack.
Anger also impedes circulation. Lack of oxygen can cause severe chest pains. Uncontrollable anger can trigger the bursting of a brain artery resulting in a stroke.Tight neck and head muscles can cause tension headaches, migraines or lead to insomnia. Anger may also affect the skin. If any one has got anger they may often suffer from rashes, acne and other skin problems.Even your metabolism is at risk. Anger is blocked energy that can slow down your body`s metabolism. Stress and anger can trigger eating disorders and result in obesity and weight gain. Anger stimulates the release of acids in the stomach causing acid reflux and gastric ulcers. Anger can also compromise lung function.If you bottle up anger it can even lead to depression, addiction to drugs, alcohol and sleeping problems which will effect various fundamental areas of your life in general.
The fundamentals of change
Notice how quickly we can fall into a negative state of being? A split second, maybe. By the same reasoning it should take the same amount of time to shift into a resourceful state of being. The challenge here is that we have been conditioned from a very young age to remain in an un-resourceful state. Nobody gave us the tools to shift our state into a positive one. Often, our parents didn’t know how, and still do not know how.That doesn't mean anger should become the driving emotion in your life. Below are four coping techniques that will help you to live longer, without toxic anger.
1. Release your anger
Anger is energy; the trick is to use that energy in a positive way. Expressing anger by lashing out only causes more tension in your body. It feels good temporarily but in reality only ads to the problem. Physical exercise is a healthy and effective way to release the energy and tension from anger. Take up jogging, do some aerobics or kick boxing. Go for a long walk in the forest or along the beach or even do some gardening, connecting with nature is an excellent way of diverting the focus of your energy. If exercise isn't possible try relaxation exercises such as deep breathing or meditation anything that brings awareness to your body instead of your mind.
2. Adjust your expectations
You have to adjust and learn to live with the hand you are dealt and move on with your life. You can live with situations that you feel are unacceptable without letting the anger you feel take over your life. We all expect certain things when it comes to the behaviour of other people. The truth is though; we have no control over their behaviour, only over how we react to it.
3. Live in the present
Don't look too far back and too far ahead. Constantly looking back at what you had means not paying attention to, today and what you have now that is of value. If you use all your emotional energy thinking about how things used to be, you will have no energy left for today. The same goes for looking ahead and worrying about situations in the future that have not even occurred jet. Staying stuck in the past or worrying about the future takes away our ability to live today with awareness.
4. Replace Anger with empathy
Understanding the motivation behind someone else's actions can and will help alleviate some anger toward that person. You may not agree with what they are doing but delving into their reasons for doing it and understanding their emotional frame of mind helps you replace some of your feelings of anger with empathy. Your spouse may be as angry as you are, or their actions may be motivated by fear. Walking a mile in the other guy's shoes can give us great perspective and emotional release.
In Conclusion
Remember, you can't eliminate anger—and it wouldn't be a good idea if you could. In spite of all your efforts, things will happen that will cause you anger; and sometimes it will be justifiable anger. Life will be filled with frustration, pain, loss, and the unpredictable actions of others. You can't change that; but you can change the way you let such events affect you. Controlling your angry responses can keep them from making you even more unhappy in the long run.